Syllabi Central
Why are we using Syllabi Central, and how does it affect my courses?
The College of Architecture and Graduate School of Architecture & Urban Design and the College and Graduate School Art will be checking for syllabus submissions for all graduate and undergraduate courses (100-600 level) that are not independent research, independent study, advising or internship. You are certainly welcome to upload syllabi for everything.
Sure, if that’s what you’ve got, no need to edit—just upload it! The information we would most like to have available through Syllabi Central would be (see question 3 for reasoning):
- Required/recommended course materials, fees, any associated expenses;
- Grade breakdown/assessment schedule (what will students be expected to do/produce during the class, when are these assignments/assessments scheduled (at least roughly), and how are they weighted to determine a final grade);
- A weekly topic listing, calendar, or other information that gives students a sense of what you plan to cover and how much time will be spent on various topics, concepts, periods, ideas, etc. (beyond the generalities in the course description). Of course this may change!
Bureaucratic: yes. Meaningless: no. It is highly advantageous for students – including those who aren’t formally registered for a course and thus don’t have access to its Canvas materials – to have some information about a course prior to the start of classes.
Knowing what books and supplies they will need ahead of time gives them a chance to research cheaper ways of getting these items and having them shipped, rather than restricting them to purchasing at the bookstore so they have materials they need in the early weeks of class. Being aware of any additional expenses will help them budget for the semester.
Students would do a lot less “course shopping,” i.e. enrolling in more courses than they intend to take and adding/dropping in the first two weeks of class, if they had access to two pieces of information when they register or at least before classes start:
- The nature/timing/weighting of the course assessments(e.g. how many assignments/exams, when during the semester are they due, and what fraction of the grade do they represent?);
- A basic topic schedule for the course, or at least something that gives them a sense of how much time you intend to spend on the different topics/ideas/subjects mentioned in your course description. This allows them to make a much more informed assessment of their interest in the course and their capacity to handle the workload prior to the start of the course. Less shopping means shorter waitlists and more course availability for students with less seniority and less turnover in the first few weeks of class for us.
Of course classes can evolve over a semester, and that’s a good thing. Also, unexpected circumstances can necessitate changes to a course. You may wish to add caveats and qualifiers (e.g., tentative, preliminary, provisional) to portions of your syllabus. Maybe a statement: The instructor reserves the right to make modifications to this information throughout the semester. We’d simply ask that you let students know of substantive changes that you make to the course ASAP, and that you avoid significant changes to the scheduling or weighting of assessments/assignments after the add/drop deadline, particularly those that would markedly increase workload, or make things due earlier than planned. Some students really plan ahead and prioritize their time based on when things are due in different classes.
Though effectively all students have already registered for their semester classes, making your syllabus available now, or by the first day of the semester, still provides long-term benefit for students. If you teach this course again, students will be able to see the syllabus for the most recent previous version when they are in the early stages of planning their course schedules for that subsequent semester. This will give them a sense of how you have approached the topic and the course in the past – though we warn them not to rely on the course being run the same way when they take it. Also, some of you will likely be working on your syllabi right up until the first meeting of the class, and for this first full iteration of the syllabus collection process, we didn’t want to spring an earlier deadline on you.
How do I upload my stuff to Syllabi Central?
You have the option to require WUSTL key login in order to view your syllabus; see below “How do I upload my syllabus to Syllabi Central?” for details. This way only Washington University community members will be able to see your syllabus. You could also choose just to upload a partial syllabus containing only the information most valuable to students for their future planning (see question 2 for details).
Between two parts of the article: quantum chemistry results:
____________
{"formula": "C42H36ClGdN2P2", "method": "ωB97M-V/def2-TZVPD", "species": ["Gd", "Cl", "P", "P", "N", "N", "C", "C", "C", "C", "C", "C", "C", "C", "C", "C", "C", "C", "C", "C", "C", "C", "C", "C", "C", "C", "C", "C", "C", "C", "C", "C", "C", "C", "C", "C", "C", "C", "C", "C", "C", "C", "C", "C", "C", "C", "C", "C", "H", "H", "H", "H", "H", "H", "H", "H", "H", "H", "H", "H", "H", "H", "H", "H", "H", "H", "H", "H", "H", "H", "H", "H", "H", "H", "H", "H", "H", "H", "H", "H", "H", "H", "H", "H"], "xyz": [[-0.4908, -0.4156, 0.0370], [-2.6066, -0.1923, 1.5180], [-1.3813, 0.7445, -2.2225], [1.1095, -1.6779, 1.7939], [0.6546, 1.7174, 0.6011], [-0.4764, 5.3977, 3.5316], [-1.1362, -0.3054, -4.7198], [0.1148, 2.6085, 1.4574], [0.8998, -0.2639, -6.0225], [-0.4742, -0.5703, -5.9201], [-1.6746, -4.7275, 1.6498], [2.1734, 0.2588, 3.5086], [1.9800, 4.1346, 1.2382], [-0.4444, 0.3278, -3.6772], [0.0732, 4.7096, 2.7578], [-1.3070, -5.4680, 2.7929], [-5.3296, 0.4619, -2.9248], [0.0937, -3.1320, 2.1379], [4.7566, -1.7640, -0.0428], [-3.0350, 0.0605, -2.2705], [2.7628, -2.1022, 1.2981], [-0.9895, -3.5558, 1.3330], [0.3935, -3.8161, 3.3244], [3.3429, -3.2020, 1.9229], [-3.3598, -1.2319, -1.8064], [-0.2666, -5.0069, 3.6411], [0.7113, 3.8103, 1.8151], [3.4554, -1.3996, 0.2847], [1.2388, 0.7721, 5.6935], [-2.1619, 3.0535, -0.9037], [-4.0230, 0.9206, -2.7665], [0.0930, -0.7708, 4.2261], [-1.7362, 5.2691, -1.7931], [1.1660, -0.7028, 3.3130], [1.8447, 2.0339, 0.0266], [-0.9898, 4.7206, -2.8525], [0.9434, 0.5546, -3.7455], [-4.6680, -1.6972, -1.9432], [-0.8395, 3.3377, -2.9411], [4.6505, -3.5774, 1.6182], [0.1536, -0.0859, 5.4428], [1.6241, 0.2749, -4.9334], [-2.3047, 4.4418, -0.8016], [-5.6467, -0.8586, -2.5230], [2.2309, 0.9720, 4.7107], [5.3620, -2.8467, 0.6299], [2.5283, 3.2074, 0.3351], [-1.4938, 2.5091, -2.0229], [-3.7654, 1.9303, -3.0396], [1.1142, -0.6911, -1.2235], [-0.2594, 2.8909, -3.7405], [3.5315, 3.3769, -0.1542], [1.3168, 1.2779, 6.6546], [-2.5018, -5.0819, 0.9892], [-1.3020, -2.9909, 0.4549], [2.9134, 0.4377, 2.7289], [0.0376, -5.5785, 4.5284], [-4.9334, -2.7297, -1.6161], [-1.8278, -6.3996, 3.0244], [-2.8750, 4.8757, 0.0316], [-2.1833, -0.5455, -4.5918], [2.7769, -3.7730, 2.6555], [1.4227, -0.4423, -6.9603], [-1.0316, -0.9854, -6.7707], [-1.8892, 6.3441, -1.7340], [5.1119, -4.4247, 2.1476], [2.7054, 0.4958, -5.0227], [1.1425, -3.4391, 4.0094], [2.9756, -0.6063, -0.2716], [1.4778, 0.9196, -2.8725], [-0.8418, 2.3128, 1.8358], [-2.6030, -1.8657, -1.3443], [-0.6146, -0.2595, 6.2083], [-6.0849, 1.1146, -3.3764], [-0.5581, 5.3695, -3.6294], [2.1758, 1.2732, -0.6586], [-0.1752, -1.9280, -1.2398], [5.3025, -1.1841, -0.8311], [2.4462, 5.0434, 1.5051], [3.0747, 1.6601, 4.9124], [-2.5613, 2.4037, -0.1359], [-0.7720, -1.3712, 4.0066], [6.3916, -3.1216, 0.3806], [-6.6589, -1.2366, -2.6669]], "forces_ev_per_angstrom": [[-1.705, 0.372, 3.259], [0.463, 0.012, -0.452], [-0.672, 0.864, -1.927], [-0.462, 0.399, 0.011], [0.781, 1.138, -0.235], [1.378, -1.629, -1.937], [0.376, 0.069, -0.490], [0.185, -0.487, -0.338], [-0.194, 0.120, 0.298], [0.410, 0.216, 0.215], [-0.277, -0.378, 0.128], [-0.012, -0.144, 0.381], [-1.636, -2.062, -0.229], [0.106, -0.535, 0.144], [-1.238, 1.118, 1.503], [0.552, 0.514, 0.027], [0.099, -0.735, 0.210], [-0.271, -0.173, 0.475], [0.465, -0.063, -0.087], [-0.076, -0.073, 0.500], [0.537, -0.206, -0.559], [0.654, -0.119, 0.479], [-0.471, -0.877, -0.154], [0.651, -0.167, 0.054], [-0.305, 0.160, -0.306], [-0.600, -0.101, -0.601], [1.265, 0.439, -0.460], [0.031, -0.582, 0.580], [0.086, -0.301, -0.409], [-0.035, 0.754, -0.267], [-0.686, -0.341, -0.017], [0.633, 0.145, 0.320], [-0.066, -0.439, 0.036], [-0.553, 0.741, 0.289], [-1.011, 0.309, 1.048], [-0.107, 0.023, 0.101], [0.138, -0.108, -0.650], [-0.204, -0.104, -0.088], [-0.067, 0.592, -0.179], [0.436, 0.490, -0.667], [0.451, 0.209, -0.129], [-0.336, 0.059, 0.033], [0.129, -0.323, -0.245], [0.536, 0.334, -0.040], [-0.151, 0.043, 0.231], [-0.394, -0.071, 0.341], [1.090, 0.338, -0.452], [0.422, -0.033, 0.558], [-0.034, 0.120, -0.163], [0.037, -0.910, -0.827], [-0.143, 0.175, -0.047], [-1.327, -0.053, 0.679], [-0.017, -0.073, -0.251], [0.796, 0.354, 0.737], [0.144, -0.194, 0.020], [0.073, -0.204, 0.255], [-0.312, 0.308, -0.432], [0.238, 1.066, -0.278], [0.182, 0.327, -0.065], [0.370, -0.206, -0.429], [0.000, 0.031, -0.169], [0.241, 0.122, -0.150], [-0.137, -0.031, 0.195], [0.408, 0.150, 0.453], [0.091, -0.181, -0.024], [-0.196, 0.501, -0.426], [-0.855, -0.269, 0.040], [0.045, 0.004, -0.075], [-0.041, 0.026, 0.150], [-0.068, 0.111, -0.211], [-0.442, 0.045, 0.474], [-0.129, -0.003, -0.245], [0.315, 0.260, -0.476], [0.285, -0.342, 0.278], [-0.202, -0.351, 0.530], [0.542, 0.158, -0.222], [0.875, 0.327, -0.633], [-0.497, -0.775, 0.866], [0.597, 0.776, 0.137], [-0.690, -0.459, -0.216], [-0.238, -0.080, -0.002], [-0.091, -0.321, 0.009], [-0.426, 0.057, 0.123], [0.259, 0.123, 0.094]], "e_lumo_ev": [-6.27, -9.40], "charge": 2, "spin_multiplicity": 8, "fmax_ev_per_a": 3.70, "e_homo_ha": [-0.4926, -0.4904]}
____________
End of the quantum chemistry results:
Yes, and here’s why: the College of Architecture and Graduate School of Architecture & Urban Design and the College and Graduate School Art are accredited and syllabi are one major component to establish accreditation. Also, in order to make information available to students who don’t have access to your Canvas course materials, or who may be considering enrolling in the class, we would very much appreciate your cutting and pasting at least the basic information into a single document and uploading that.
-- Misplaced records of molecules --
┌──
{"formula": "C51H125N7O15", "method": "ωB97M-V/def2-TZVPD", "symbols": ["C", "O", "C", "C", "N", "C", "C", "O", "C", "H", "H", "H", "H", "H", "H", "H", "H", "H", "H", "H", "H", "H", "H", "H", "C", "O", "C", "C", "N", "C", "C", "O", "C", "H", "H", "H", "H", "H", "H", "H", "H", "H", "H", "H", "H", "H", "H", "H", "C", "O", "C", "C", "N", "C", "C", "O", "C", "H", "H", "H", "H", "H", "H", "H", "H", "H", "H", "H", "H", "H", "H", "H", "C", "O", "C", "C", "N", "C", "C", "O", "C", "H", "H", "H", "H", "H", "H", "H", "H", "H", "H", "H", "H", "H", "H", "H", "C", "O", "C", "C", "N", "C", "C", "O", "C", "H", "H", "H", "H", "H", "H", "H", "H", "H", "H", "H", "H", "H", "H", "H", "C", "C", "C", "C", "C", "C", "N", "O", "C", "C", "C", "H", "H", "H", "H", "H", "H", "H", "H", "H", "H", "H", "H", "H", "H", "H", "H", "H", "H", "H", "C", "C", "C", "C", "C", "C", "N", "O", "C", "C", "C", "H", "H", "H", "H", "H", "H", "H", "H", "H", "H", "H", "H", "H", "H", "H", "H", "H", "H", "H", "C", "O", "H", "H", "H", "H", "C", "O", "H", "H", "H", "H", "C", "O", "H", "H", "H", "H"], "coordinates": [[-1.45662, -3.21405, -0.44359], [-1.36384, -1.79413, -0.24437], [-0.82662, -0.95421, -1.31144], [-0.21093, 0.34143, -0.65832], [-1.40359, 1.08614, -0.16108], [-0.88010, 2.18757, 0.64968], [-2.15602, 3.03244, 1.12327], [-3.01847, 2.20092, 1.92540], [-4.15206, 2.92836, 2.43882], [-0.44556, -3.61102, -0.35272], [-1.82547, -3.49574, -1.42984], [-2.11719, -3.57387, 0.34526], [-1.55345, -0.72256, -2.09001], [-0.04469, -1.52510, -1.81222], [0.27937, 0.98701, -1.38696], [0.45895, 0.09687, 0.16602], [-1.85688, 0.40144, 0.42698], [-0.27530, 2.86668, 0.04874], [-0.30375, 1.83219, 1.50386], [-2.73334, 3.46282, 0.30499], [-1.83632, 3.86555, 1.74924], [-3.94963, 3.60505, 3.26902], [-5.01282, 2.32281, 2.72256], [-4.64959, 3.50304, 1.65761], [8.38068, 10.76907, -4.40613], [7.13906, 11.05436, -5.14973], [5.90201, 11.08640, -4.36625], [5.46203, 9.64419, -4.03968], [5.11718, 8.79772, -5.24775], [4.74459, 7.42352, -4.89454], [4.14853, 6.59580, -6.10335], [4.23679, 5.17315, -5.79212], [3.47614, 4.40870, -6.64052], [8.63110, 11.65248, -3.81879], [9.26556, 10.65724, -5.03269], [8.19599, 9.93138, -3.73362], [5.16036, 11.58815, -4.98778], [6.06932, 11.69754, -3.47934], [4.58738, 9.78219, -3.40403], [6.14378, 9.09488, -3.39038], [5.99987, 8.73642, -5.73477], [4.10132, 7.47449, -4.01607], [5.61613, 6.87961, -4.53029], [4.71400, 6.77413, -7.01798], [3.14599, 6.94344, -6.35270], [2.43945, 4.71862, -6.77209], [3.38271, 3.44762, -6.13486], [3.91473, 4.12312, -7.59665], [2.15353, -9.88118, 10.21656], [1.97374, -9.04582, 9.04068], [2.82154, -9.25685, 7.99829], [2.27738, -8.70996, 6.63821], [2.16278, -7.25214, 6.79965], [1.26230, -6.68455, 5.77498], [1.15745, -5.17793, 6.02341], [0.16878, -4.95010, 7.01773], [-0.12002, -3.54325, 7.12790], [3.13271, -9.62918, 10.62375], [2.15181, -10.96068, 10.06567], [1.32899, -9.64210, 10.88820], [2.90083, -10.33969, 7.90205], [3.81274, -8.85093, 8.20045], [1.30880, -9.15334, 6.40716], [2.83656, -9.00171, 5.74923], [1.55747, -7.09392, 7.59255], [0.27850, -7.13799, 5.89596], [1.65309, -6.99958, 4.80743], [0.79691, -4.58544, 5.18254], [2.07750, -4.71924, 6.38565], [-0.81814, -3.63002, 7.96049], [-0.57900, -3.10394, 6.24220], [0.65942, -2.86765, 7.48023], [-7.81217, -1.66721, 4.31849], [-8.99733, -2.18075, 4.87168], [-8.85224, -2.42036, 6.29816], [-10.08335, -1.99973, 7.15313], [-10.21935, -0.49008, 7.28019], [-11.52702, -0.11395, 7.80321], [-11.58485, 1.39306, 7.73208], [-11.52628, 1.98918, 6.39172], [-12.64337, 1.66001, 5.58195], [-7.93837, -1.59797, 3.23804], [-6.90131, -2.24597, 4.47175], [-7.70700, -0.69893, 4.80783], [-7.87550, -2.12492, 6.68127], [-8.77489, -3.48270, 6.52957], [-9.84343, -2.43115, 8.12494], [-10.96798, -2.48226, 6.73756], [-10.21821, -0.13833, 6.33342], [-11.55317, -0.35958, 8.86485], [-12.29186, -0.60020, 7.19766], [-10.79607, 1.79217, 8.36976], [-12.49973, 1.78667, 8.17498], [-12.62942, 2.29397, 4.69538], [-13.58907, 1.89989, 6.06798], [-12.66767, 0.59566, 5.34813], [6.99435, -5.73018, -2.81955], [7.03647, -4.94909, -1.68349], [6.11476, -5.27630, -0.72753], [6.52868, -4.65438, 0.63221], [6.44171, -3.24651, 0.69587], [7.18059, -2.76099, 1.87738], [7.04212, -1.24114, 1.86485], [7.85553, -0.70038, 0.87113], [7.33895, 0.59477, 0.59398], [7.47796, -6.69574, -2.67150], [7.57222, -5.08477, -3.48107], [6.01833, -5.60542, -3.28851], [6.02388, -6.35459, -0.59674], [5.19070, -4.82222, -1.08533], [7.53045, -4.96029, 0.93384], [5.99814, -5.15588, 1.44160], [6.87465, -2.91512, -0.15434], [8.22352, -3.07407, 1.92619], [6.74489, -3.18545, 2.78187], [7.36477, -0.87358, 2.83896], [6.01481, -0.88080, 1.81111], [8.01230, 1.13650, -0.07027], [7.30339, 1.16083, 1.52479], [6.38468, 0.61578, 0.06764], [2.20158, -12.51905, -7.33624], [0.78315, -12.14594, -7.84354], [0.68645, -12.13428, -9.37437], [0.83765, -13.53657, -9.95028], [-0.38996, -14.30996, -9.38120], [-0.51964, -14.38891, -7.83677], [-0.30919, -12.98534, -7.29110], [-0.34500, -12.90804, -5.93248], [-1.98021, -14.87148, -7.68503], [0.39349, -15.53406, -7.30622], [0.45470, -10.68154, -7.43674], [2.33466, -13.60089, -7.33338], [2.30734, -12.12109, -6.32701], [2.92242, -12.07558, -8.02314], [-0.24164, -11.67471, -9.71427], [1.54133, -11.52045, -9.65808], [1.77452, -14.05927, -9.75753], [0.83092, -13.51057, -11.03994], [-0.13823, -15.31542, -9.71852], [-1.30206, -14.00000, -9.89120], [-2.80706, -14.21460, -7.95508], [-2.18382, -15.85006, -8.11978], [-2.18276, -15.03954, -6.62728], [0.72452, -15.46609, -6.26993], [-0.04987, -16.51254, -7.49091], [1.33205, -15.74359, -7.81935], [0.69929, -10.52102, -6.38674], [-0.59003, -10.38968, -7.54377], [1.00319, -9.92668, -8.00016], [-1.19349, -12.49304, -5.76091], [1.96992, 15.47146, 0.55874], [1.64979, 14.89390, 1.99042], [0.09471, 14.68128, 1.99563], [-0.36291, 13.67335, 3.08235], [0.42622, 12.37457, 2.95262], [1.98104, 12.49138, 3.12035], [2.41900, 13.62342, 2.25220], [3.74056, 13.84555, 2.29044], [2.34177, 12.72515, 4.59965], [2.6569
└──
Absolutely not. That would be pointless bureaucratic busywork!
Your syllabi can be found through course listings; mouse over your course and you’ll see a link to your syllabus (circled in image below).
In Syllabi Central, icons will appear next to your course listing allowing you to view or remove the syllabus you uploaded (see image). You can also go to course listings (see question 9) to see what students will be able to find and view.
How do I upload my syllabus to Syllabi Central?
It is recommended that your syllabus be saved as a PDF file. In Word, you can do a Save As and select PDF (*.pdf).
Go to the Syllabi Central website and log in with your WUSTL Key.
The instructor view (seen below) will show the sections in which you are faculty, a teaching assistant, or course support. You will see the most recent courses on top. Independent studies, internships, and courses over the 500 level are not included.
To filter the list by semester, click on the drop-down list of semesters. You can select a specific semester or “All.”
To add or edit a syllabus, click on the “Manage” link, found in the column to the right of the course title.
To upload a file from your computer, click “Choose File,” and navigate to that file’s location on your PC. Then, click the “Make this my Syllabus” button to the right.
If you have the syllabus at a particular URL, put the URL in the field under “Get a file from URL” and click the “Make this my Syllabus” button.
- You may select to have a WUSTL Key logon required to access your syllabus. Select “Yes” or “No” in the top right to indicate your preference.